# Assignment
Your job: restate the whole of the lines further down character by character.

# Source
+++
Entry 1:
90
Properties=species:S:1:pos:R:3:lowdin_charge:R:1 method="wB97M-V/def2-TZVPD" total_charge=+3 multiplicity=1 e_lumo_ev=-8.8 homo_lumo_gap_ev=5.36 de_lowest_ev=0.000 max_force_ev_per_a=3.57
N 1.74 -7.79 21.59 -0.01
C 1.25 -10.58 15.76 -0.02
H -0.37 -4.40 19.15 0.11
O 3.76 -9.25 19.78 -0.22
C 3.91 -6.04 25.59 0.06
H 3.94 -12.81 13.92 0.12
H 0.46 -7.87 29.96 0.14
H 0.72 -8.08 19.69 0.09
H 8.53 -3.71 22.48 0.11
H 6.39 -4.98 25.65 0.13
C 2.34 -7.82 25.20 0.09
C 5.62 -10.19 21.06 -0.21
H 2.11 -5.26 16.43 0.09
C 5.76 -9.91 23.39 -0.05
C 1.91 -12.05 13.95 -0.04
C 3.65 -6.52 28.49 -0.01
H 1.10 -5.75 18.16 0.18
C 2.63 -7.71 23.86 -0.21
C 2.72 -7.00 27.60 -0.18
C 6.41 -11.60 18.77 -0.10
N 5.58 -5.25 22.37 -0.02
C 6.97 -7.54 16.13 0.03
C 2.54 -10.73 16.26 -0.16
N 3.71 -6.98 23.40 0.01
C 4.31 -6.10 24.23 -0.19
C 5.66 -7.00 16.25 0.04
C 7.62 -4.16 22.78 -0.05
N 3.10 -5.93 18.75 -0.13
H -0.06 -11.20 14.13 0.11
H 4.38 -5.34 26.22 0.10
H 7.33 -11.10 22.01 0.11
C 0.07 -9.49 21.13 -0.07
N 4.58 -11.71 16.49 0.19
C 3.00 -6.92 26.13 -0.07
C 5.50 -5.44 23.73 -0.19
C 3.77 -6.06 17.60 -0.17
H 4.25 -6.48 30.58 0.11
H 6.84 -9.69 23.33 0.10
C 1.45 -7.62 29.54 -0.13
C 6.68 -4.71 21.91 -0.10
C 3.54 -6.77 29.86 -0.07
O 5.12 -9.52 22.15 -0.15
H 3.74 -5.30 15.63 0.09
N 3.10 -10.38 17.49 0.17
H 7.35 -7.89 15.21 0.11
C 4.37 -10.97 17.62 -0.12
H 6.75 -4.56 20.83 0.12
C 0.92 -11.26 14.58 -0.04
H 0.03 -3.46 20.58 0.16
C 7.10 -7.13 18.52 -0.10
C 7.74 -7.44 17.31 0.00
C 3.07 -5.80 16.28 0.01
C 4.80 -9.99 19.87 -0.30
C 3.21 -12.23 14.44 0.00
H 0.75 -7.91 27.57 0.11
H 4.65 -6.18 28.11 0.13
C 1.77 -8.31 22.82 -0.20
N 5.84 -6.68 18.65 0.04
H 0.57 -9.95 16.27 0.09
H 4.92 -7.06 15.43 0.12
H 8.72 -7.93 17.38 0.13
C 5.14 -6.60 17.52 -0.26
C 1.57 -7.55 28.17 -0.01
N 0.24 -4.20 19.87 0.17
H 1.54 -8.49 25.62 0.14
S 2.53 -4.41 21.26 0.64
H 2.79 -6.75 15.81 0.11
Bi 3.93 -6.75 20.88 1.83
H 5.39 -9.29 24.24 0.10
N 0.25 -10.11 22.32 0.13
C 7.12 -11.68 19.94 -0.64
C 1.47 -4.67 19.90 -0.76
N 7.59 -4.27 24.13 0.15
C 0.81 -8.37 20.71 -0.06
C 5.26 -10.81 18.74 -0.08
H 1.66 -12.59 13.01 0.13
H 7.67 -7.13 19.49 0.13
N 2.44 -7.39 30.34 0.10
H 6.75 -12.20 17.95 0.09
C 1.09 -9.51 23.18 -0.01
Br 8.77 -12.68 19.91 0.77
C 3.49 -11.62 15.63 -0.17
H 2.64 -9.85 18.29 0.16
C 6.73 -11.00 21.11 -0.04
H 1.12 -10.03 24.14 0.14
C 6.49 -4.90 24.56 -0.02
H 5.38 -12.36 16.32 0.20
H -0.69 -9.95 20.52 0.12
N 1.83 -5.43 18.82 -0.04
H 5.66 -10.98 23.60 0.11

=====

Entry 2:
71
Properties=species:S:1:pos:R:3:lowdin_charge:R:1 method="wB97M-V/def2-TZVPD" total_charge=+2 multiplicity=1 e_lumo_ev=-5.8 homo_lumo_gap_ev=8.36 de_lowest_ev=0.643 max_force_ev_per_a=3.90
H -12.02 12.70 6.95 0.13
O -13.67 8.75 -1.97 -0.04
H -18.16 10.66 4.46 0.13
C -12.32 11.93 -0.86 0.03
Y -14.47 14.49 2.41 1.55
H -12.85 15.01 7.52 0.12
H -11.73 8.77 -1.12 0.15
N -15.69 12.39 2.83 0.01
H -14.28 9.45 0.29 0.13
C -12.86 10.67 -0.72 -0.15
H -11.53 12.13 -1.57 0.13
H -17.17 13.07 4.10 0.13
C -14.25 17.65 1.62 -0.22
C -16.88 9.78 3.16 -0.17
H -11.29 13.25 2.06 0.11
C -14.14 11.48 1.15 -0.20
O -14.64 15.57 0.60 -0.22
N -13.76 16.97 2.66 0.04
H -12.54 13.97 -0.25 0.12
C -12.69 13.60 5.06 -0.17
C -15.75 16.30 6.40 0.05
N -16.58 15.52 2.95 0.00
H -14.47 16.65 8.10 0.10
C -13.66 19.70 2.67 -0.01
C -15.77 15.60 5.25 -0.23
C -13.74 14.55 5.61 -0.20
C -13.18 19.04 3.74 -0.03
C -16.77 12.16 3.56 -0.11
H -17.91 8.19 4.24 0.16
H -9.59 12.06 3.44 0.13
H -20.23 16.41 3.82 0.14
C -11.90 12.78 5.88 0.02
C -15.78 10.02 2.31 0.08
C -14.33 19.02 1.57 0.08
H -18.43 8.50 2.45 0.16
C -10.53 12.33 3.91 -0.03
C -13.21 17.61 3.64 -0.11
C -10.86 12.13 5.23 -0.04
H -11.93 9.81 -2.56 0.14
C -19.22 16.02 3.61 -0.01
O -16.56 7.62 2.67 -0.04
H -19.57 15.99 1.46 0.13
C -17.36 10.92 3.76 0.00
H -12.82 17.04 4.46 0.10
H -13.44 8.18 -2.69 0.09
H -10.21 11.39 5.85 0.16
C -17.57 8.46 3.19 -0.18
C -13.80 10.44 0.27 0.08
H -12.67 19.64 4.51 0.13
N -12.44 13.73 3.72 0.01
C -18.87 15.87 2.28 -0.01
C -14.61 16.07 7.26 0.02
H -16.71 6.79 3.04 0.08
+++

# Response
Entry 1:
90
Properties=species:S:1:pos:R:3:lowdin_charge:R:1 method="wB97M-V/def2-TZVPD" total_charge=+3 multiplicity=1 e_lumo_ev=-8.8 homo_lumo_gap_ev=5.36 de_lowest_ev=0.000 max_force_ev_per_a=3.57
N 1.74 -7.79 21.59 -0.01
C 1.25 -10.58 15.76 -0.02
H -0.37 -4.40 19.15 0.11
O 3.76 -9.25 19.78 -0.22
C 3.91 -6.04 25.59 0.06
H 3.94 -12.81 13.92 0.12
H 0.46 -7.87 29.96 0.14
H 0.72 -8.08 19.69 0.09
H 8.53 -3.71 22.48 0.11
H 6.39 -4.98 25.65 0.13
C 2.34 -7.82 25.20 0.09
C 5.62 -10.19 21.06 -0.21
H 2.11 -5.26 16.43 0.09
C 5.76 -9.91 23.39 -0.05
C 1.91 -12.05 13.95 -0.04
C 3.65 -6.52 28.49 -0.01
H 1.10 -5.75 18.16 0.18
C 2.63 -7.71 23.86 -0.21
C 2.72 -7.00 27.60 -0.18
C 6.41 -11.60 18.77 -0.10
N 5.58 -5.25 22.37 -0.02
C 6.97 -7.54 16.13 0.03
C 2.54 -10.73 16.26 -0.16
N 3.71 -6.98 23.40 0.01
C 4.31 -6.10 24.23 -0.19
C 5.66 -7.00 16.25 0.04
C 7.62 -4.16 22.78 -0.05
N 3.10 -5.93 18.75 -0.13
H -0.06 -11.20 14.13 0.11
H 4.38 -5.34 26.22 0.10
H 7.33 -11.10 22.01 0.11
C 0.07 -9.49 21.13 -0.07
N 4.58 -11.71 16.49 0.19
C 3.00 -6.92 26.13 -0.07
C 5.50 -5.44 23.73 -0.19
C 3.77 -6.06 17.60 -0.17
H 4.25 -6.48 30.58 0.11
H 6.84 -9.69 23.33 0.10
C 1.45 -7.62 29.54 -0.13
C 6.68 -4.71 21.91 -0.10
C 3.54 -6.77 29.86 -0.07
O 5.12 -9.52 22.15 -0.15
H 3.74 -5.30 15.63 0.09
N 3.10 -10.38 17.49 0.17
H 7.35 -7.89 15.21 0.11
C 4.37 -10.97 17.62 -0.12
H 6.75 -4.56 20.83 0.12
C 0.92 -11.26 14.58 -0.04
H 0.03 -3.46 20.58 0.16
C 7.10 -7.13 18.52 -0.10
C 7.74 -7.44 17.31 0.00
C 3.07 -5.80 16.28 0.01
C 4.80 -9.99 19.87 -0.30
C 3.21 -12.23 14.44 0.00
H 0.75 -7.91 27.57 0.11
H 4.65 -6.18 28.11 0.13
C 1.77 -8.31 22.82 -0.20
N 5.84 -6.68 18.65 0.04
H 0.57 -9.95 16.27 0.09
H 4.92 -7.06 15.43 0.12
H 8.72 -7.93 17.38 0.13
C 5.14 -6.60 17.52 -0.26
C 1.57 -7.55 28.17 -0.01
N 0.24 -4.20 19.87 0.17
H 1.54 -8.49 25.62 0.14
S 2.53 -4.41 21.26 0.64
H 2.79 -6.75 15.81 0.11
Bi 3.93 -6.75 20.88 1.83
H 5.39 -9.29 24.24 0.10
N 0.25 -10.11 22.32 0.13
C 7.12 -11.68 19.94 -0.64
C 1.47 -4.67 19.90 -0.76
N 7.59 -4.27 24.13 0.15
C 0.81 -8.37 20.71 -0.06
C 5.26 -10.81 18.74 -0.08
H 1.66 -12.59 13.01 0.13
H 7.67 -7.13 19.49 0.13
N 2.44 -7.39 30.34 0.10
H 6.75 -12.20 17.95 0.09
C 1.09 -9.51 23.18 -0.01
Br 8.77 -12.68 19.91 0.77
C 3.49 -11.62 15.63 -0.17
H 2.64 -9.85 18.29 0.16
C 6.73 -11.00 21.11 -0.04
H 1.12 -10.03 24.14 0.14
C 6.49 -4.90 24.56 -0.02
H 5.38 -12.36 16.32 0.20
H -0.69 -9.95 20.52 0.12
N 1.83 -5.43 18.82 -0.04
H 5.66 -10.98 23.60 0.11

=====

Entry 2:
71
Properties=species:S:1:pos:R:3:lowdin_charge:R:1 method="wB97M-V/def2-TZVPD" total_charge=+2 multiplicity=1 e_lumo_ev=-5.8 homo_lumo_gap_ev=8.36 de_lowest_ev=0.643 max_force_ev_per_a=3.90
H -12.02 12.70 6.95 0.13
O -13.67 8.75 -1.97 -0.04
H -18.16 10.66 4.46 0.13
C -12.32 11.93 -0.86 0.03
Y -14.47 14.49 2.41 1.55
H -12.85 15.01 7.52 0.12
H -11.73 8.77 -1.12 0.15
N -15.69 12.39 2.83 0.01
H -14.28 9.45 0.29 0.13
C -12.86 10.67 -0.72 -0.15
H -11.53 12.13 -1.57 0.13
H -17.17 13.07 4.10 0.13
C -14.25 17.65 1.62 -0.22
C -16.88 9.78 3.16 -0.17
H -11.29 13.25 2.06 0.11
C -14.14 11.48 1.15 -0.20
O -14.64 15.57 0.60 -0.22
N -13.76 16.97 2.66 0.04
H -12.54 13.97 -0.25 0.12
C -12.69 13.60 5.06 -0.17
C -15.75 16.30 6.40 0.05
N -16.58 15.52 2.95 0.00
H -14.47 16.65 8.10 0.10
C -13.66 19.70 2.67 -0.01
C -15.77 15.60 5.25 -0.23
C -13.74 14.55 5.61 -0.20
C -13.18 19.04 3.74 -0.03
C -16.77 12.16 3.56 -0.11
H -17.91 8.19 4.24 0.16
H -9.59 12.06 3.44 0.13
H -20.23 16.41 3.82 0.14
C -11.90 12.78 5.88 0.02
C -15.78 10.02 2.31 0.08
C -14.33 19.02 1.57 0.08
H -18.43 8.50 2.45 0.16
C -10.53 12.33 3.91 -0.03
C -13.21 17.61 3.64 -0.11
C -10.86 12.13 5.23 -0.04
H -11.93 9.81 -2.56 0.14
C -19.22 16.02 3.61 -0.01
O -16.56 7.62 2.67 -0.04
H -19.57 15.99 1.46 0.13
C -17.36 10.92 3.76 0.00
H -12.82 17.04 4.46 0.10
H -13.44 8.18 -2.69 0.09
H -10.21 11.39 5.85 0.16
C -17.57 8.46 3.19 -0.18
C -13.80 10.44 0.27 0.08
H -12.67 19.64 4.51 0.13
N -12.44 13.73 3.72 0.01
C -18.87 15.87 2.28 -0.01
C -14.61 16.07 7.26 0.02
H -16.71 6.79 3.04 0.08